-- begin --
100
Properties=species:S:1:pos:R:3:lowdin_charge:R:1 method="wB97M-V/def2-TZVPD" homo_lumo_gap_ev=9.25 e_lumo_ev=-0.3540
C -3.02134 7.57356 -5.47314 -0.1069
N -3.83720 6.36203 -5.60716 -0.0869
C -4.92621 6.53085 -6.56426 -0.1701
C -6.15959 7.25055 -6.01046 -0.2451
O -6.45978 6.74400 -4.70370 -0.1271
S -6.92077 7.97108 -3.78523 0.6249
O -6.62486 7.79170 -2.41506 -0.1915
O -8.30589 8.19784 -4.04491 -0.2161
O -5.98128 9.05710 -4.49158 -0.1129
C -6.22683 8.79384 -5.88006 -0.1895
C -5.56671 9.70839 -6.89897 -0.5648
F -5.61035 9.18363 -8.12459 0.1752
F -6.27609 10.85733 -6.93634 0.1488
F -4.31730 10.06443 -6.59383 0.1659
H -3.55985 8.37821 -4.97445 0.0670
H -2.70194 7.95341 -6.45405 0.0817
H -2.13822 7.37882 -4.86655 0.0777
H -3.20809 5.69109 -6.03532 0.1075
H -4.60929 6.97404 -7.51879 0.1231
H -5.26332 5.52009 -6.80710 0.1291
H -6.95354 6.99811 -6.71798 0.1616
H -7.28859 9.02711 -6.01127 0.1531
O 0.60005 3.48304 -1.37017 -0.2335
P -0.79515 3.74706 -1.83325 0.6087
O -1.03217 2.23549 -2.50613 -0.2267
C -0.52410 1.04670 -1.91447 -0.2961
C -1.51797 0.39314 -0.97276 -0.0718
O -0.53354 4.61849 -3.18103 -0.2115
C 0.70012 5.30516 -3.39213 -0.2908
C 1.65711 4.45343 -4.19951 -0.0737
O -2.38014 4.04757 -2.05318 -0.1874
C -3.41056 3.26865 -1.44994 -0.2689
C -3.48904 3.46655 0.04983 -0.0750
H 0.41631 1.22911 -1.39384 0.1007
H -0.30394 0.36250 -2.73744 0.1173
H -1.77370 1.06175 -0.14693 0.0658
H -1.10203 -0.52442 -0.55300 0.0707
H -2.44270 0.13977 -1.49384 0.0763
H 1.14666 5.61187 -2.44691 0.1054
H 0.46079 6.21551 -3.94603 0.1082
H 1.81602 3.48423 -3.72754 0.0729
H 2.62083 4.95344 -4.30686 0.0772
H 1.25024 4.26475 -5.19430 0.0761
H -3.29576 2.21948 -1.71553 0.0927
H -4.34143 3.60355 -1.90920 0.1274
H -2.53065 3.24063 0.52798 0.0679
H -4.25445 2.82133 0.48080 0.0840
H -3.73524 4.50214 0.28629 0.0810
O 2.08807 -5.15058 0.95267 -0.2195
P 0.67411 -4.77167 1.14243 0.5074
O -0.22959 -5.89037 0.38870 -0.1829
C 0.19143 -7.24975 0.29770 -0.2770
C -0.33219 -8.09095 1.44492 -0.0742
O 0.46290 -3.51210 0.15378 -0.1975
C 1.56268 -2.89788 -0.51792 -0.2797
C 1.73924 -3.48518 -1.90277 -0.0711
O -0.45159 -4.18592 2.12078 -0.1630
C -1.12356 -5.01429 3.07388 -0.2636
C -0.21346 -5.45459 4.20293 -0.0723
H 1.27823 -7.32772 0.24073 0.1076
H -0.20470 -7.63198 -0.64423 0.1193
H 0.03345 -7.71633 2.40361 0.0611
H -0.00864 -9.12666 1.33733 0.0809
H -1.42288 -8.07459 1.47454 0.0788
H 2.47830 -2.97988 0.06599 0.1066
H 1.32705 -1.83499 -0.60019 0.1068
H 1.85266 -4.56885 -1.86027 0.0730
H 2.61608 -3.05957 -2.39291 0.0774
H 0.86184 -3.27773 -2.51764 0.0754
H -1.59250 -5.86374 2.57478 0.1002
H -1.93535 -4.40830 3.47587 0.1231
H 0.66974 -5.97480 3.82003 0.0643
H -0.74385 -6.12186 4.88251 0.0843
H 0.13840 -4.59125 4.76830 0.0825
O 4.24756 -3.48520 4.59336 -0.2279
P 4.65763 -4.64727 5.40724 0.4888
O 6.21436 -4.42553 5.81183 -0.1858
C 6.75580 -3.12127 6.00652 -0.2788
C 6.67199 -2.67411 7.45268 -0.0754
O 4.75606 -5.86160 4.35424 -0.1973
C 4.30970 -5.71844 2.99891 -0.2938
C 5.45882 -5.33054 2.09486 -0.0670
O 4.27836 -5.70028 6.56112 -0.1719
C 4.41807 -5.38247 7.94773 -0.2692
C 3.41144 -4.34929 8.41247 -0.0776
H 6.27317 -2.38856 5.35830 0.1078
H 7.80239 -3.17428 5.70292 0.1191
H 5.63418 -2.63221 7.78985 0.0595
H 7.10981 -1.68252 7.57128 0.0804
H 7.20728 -3.36473 8.10640 0.0784
H 3.49578 -5.00551 2.92732 0.0719
H 3.91483 -6.68809 2.69333 0.1144
H 5.95337 -4.42564 2.45051 0.0745
H 5.10242 -5.16126 1.07816 0.0727
H 6.21136 -6.12106 2.07501 0.0759
H 5.44279 -5.07779 8.16583 0.0999
H 4.25454 -6.31626 8.48577 0.1224
H 3.47940 -3.43456 7.81700 0.0662
H 3.57885 -4.09693 9.45970 0.0835
H 2.39566 -4.73124 8.30598 0.0796

96
Properties=species:S:1:pos:R:3:lowdin_charge:R:1 method="wB97M-V/def2-TZVPD" homo_lumo_gap_ev=9.39 charge=+1 e_lumo_ev=-1.9170
C -0.90754 -2.49187 0.50035 -0.0589
O -1.16889 -1.28210 -0.21118 -0.1873
C -0.48120 -0.15686 0.29496 -0.1682
C 0.96270 -0.09406 -0.20779 -0.1502
N 1.09971 -0.13350 -1.71749 -0.0059
C 0.45858 -1.25336 -2.48524 -0.0853
-- stop --

Next, print the lines further up exactly.

100
Properties=species:S:1:pos:R:3:lowdin_charge:R:1 method="wB97M-V/def2-TZVPD" homo_lumo_gap_ev=9.25 e_lumo_ev=-0.3540
C -3.02134 7.57356 -5.47314 -0.1069
N -3.83720 6.36203 -5.60716 -0.0869
C -4.92621 6.53085 -6.56426 -0.1701
C -6.15959 7.25055 -6.01046 -0.2451
O -6.45978 6.74400 -4.70370 -0.1271
S -6.92077 7.97108 -3.78523 0.6249
O -6.62486 7.79170 -2.41506 -0.1915
O -8.30589 8.19784 -4.04491 -0.2161
O -5.98128 9.05710 -4.49158 -0.1129
C -6.22683 8.79384 -5.88006 -0.1895
C -5.56671 9.70839 -6.89897 -0.5648
F -5.61035 9.18363 -8.12459 0.1752
F -6.27609 10.85733 -6.93634 0.1488
F -4.31730 10.06443 -6.59383 0.1659
H -3.55985 8.37821 -4.97445 0.0670
H -2.70194 7.95341 -6.45405 0.0817
H -2.13822 7.37882 -4.86655 0.0777
H -3.20809 5.69109 -6.03532 0.1075
H -4.60929 6.97404 -7.51879 0.1231
H -5.26332 5.52009 -6.80710 0.1291
H -6.95354 6.99811 -6.71798 0.1616
H -7.28859 9.02711 -6.01127 0.1531
O 0.60005 3.48304 -1.37017 -0.2335
P -0.79515 3.74706 -1.83325 0.6087
O -1.03217 2.23549 -2.50613 -0.2267
C -0.52410 1.04670 -1.91447 -0.2961
C -1.51797 0.39314 -0.97276 -0.0718
O -0.53354 4.61849 -3.18103 -0.2115
C 0.70012 5.30516 -3.39213 -0.2908
C 1.65711 4.45343 -4.19951 -0.0737
O -2.38014 4.04757 -2.05318 -0.1874
C -3.41056 3.26865 -1.44994 -0.2689
C -3.48904 3.46655 0.04983 -0.0750
H 0.41631 1.22911 -1.39384 0.1007
H -0.30394 0.36250 -2.73744 0.1173
H -1.77370 1.06175 -0.14693 0.0658
H -1.10203 -0.52442 -0.55300 0.0707
H -2.44270 0.13977 -1.49384 0.0763
H 1.14666 5.61187 -2.44691 0.1054
H 0.46079 6.21551 -3.94603 0.1082
H 1.81602 3.48423 -3.72754 0.0729
H 2.62083 4.95344 -4.30686 0.0772
H 1.25024 4.26475 -5.19430 0.0761
H -3.29576 2.21948 -1.71553 0.0927
H -4.34143 3.60355 -1.90920 0.1274
H -2.53065 3.24063 0.52798 0.0679
H -4.25445 2.82133 0.48080 0.0840
H -3.73524 4.50214 0.28629 0.0810
O 2.08807 -5.15058 0.95267 -0.2195
P 0.67411 -4.77167 1.14243 0.5074
O -0.22959 -5.89037 0.38870 -0.1829
C 0.19143 -7.24975 0.29770 -0.2770
C -0.33219 -8.09095 1.44492 -0.0742
O 0.46290 -3.51210 0.15378 -0.1975
C 1.56268 -2.89788 -0.51792 -0.2797
C 1.73924 -3.48518 -1.90277 -0.0711
O -0.45159 -4.18592 2.12078 -0.1630
C -1.12356 -5.01429 3.07388 -0.2636
C -0.21346 -5.45459 4.20293 -0.0723
H 1.27823 -7.32772 0.24073 0.1076
H -0.20470 -7.63198 -0.64423 0.1193
H 0.03345 -7.71633 2.40361 0.0611
H -0.00864 -9.12666 1.33733 0.0809
H -1.42288 -8.07459 1.47454 0.0788
H 2.47830 -2.97988 0.06599 0.1066
H 1.32705 -1.83499 -0.60019 0.1068
H 1.85266 -4.56885 -1.86027 0.0730
H 2.61608 -3.05957 -2.39291 0.0774
H 0.86184 -3.27773 -2.51764 0.0754
H -1.59250 -5.86374 2.57478 0.1002
H -1.93535 -4.40830 3.47587 0.1231
H 0.66974 -5.97480 3.82003 0.0643
H -0.74385 -6.12186 4.88251 0.0843
H 0.13840 -4.59125 4.76830 0.0825
O 4.24756 -3.48520 4.59336 -0.2279
P 4.65763 -4.64727 5.40724 0.4888
O 6.21436 -4.42553 5.81183 -0.1858
C 6.75580 -3.12127 6.00652 -0.2788
C 6.67199 -2.67411 7.45268 -0.0754
O 4.75606 -5.86160 4.35424 -0.1973
C 4.30970 -5.71844 2.99891 -0.2938
C 5.45882 -5.33054 2.09486 -0.0670
O 4.27836 -5.70028 6.56112 -0.1719
C 4.41807 -5.38247 7.94773 -0.2692
C 3.41144 -4.34929 8.41247 -0.0776
H 6.27317 -2.38856 5.35830 0.1078
H 7.80239 -3.17428 5.70292 0.1191
H 5.63418 -2.63221 7.78985 0.0595
H 7.10981 -1.68252 7.57128 0.0804
H 7.20728 -3.36473 8.10640 0.0784
H 3.49578 -5.00551 2.92732 0.0719
H 3.91483 -6.68809 2.69333 0.1144
H 5.95337 -4.42564 2.45051 0.0745
H 5.10242 -5.16126 1.07816 0.0727
H 6.21136 -6.12106 2.07501 0.0759
H 5.44279 -5.07779 8.16583 0.0999
H 4.25454 -6.31626 8.48577 0.1224
H 3.47940 -3.43456 7.81700 0.0662
H 3.57885 -4.09693 9.45970 0.0835
H 2.39566 -4.73124 8.30598 0.0796

96
Properties=species:S:1:pos:R:3:lowdin_charge:R:1 method="wB97M-V/def2-TZVPD" homo_lumo_gap_ev=9.39 charge=+1 e_lumo_ev=-1.9170
C -0.90754 -2.49187 0.50035 -0.0589
O -1.16889 -1.28210 -0.21118 -0.1873
C -0.48120 -0.15686 0.29496 -0.1682
C 0.96270 -0.09406 -0.20779 -0.1502
N 1.09971 -0.13350 -1.71749 -0.0059
C 0.45858 -1.25336 -2.48524 -0.0853